
  • 【地】producing well
  1. CO2驱油生产井停喷原因探讨

    Reason of stopping flowing of production wells driven by co_2

  2. CO2生产井的腐蚀机理及预防

    Corrosion mechanism and preventive measure about carbon dioxide well

  3. 在ISC过程中,燃烧前缘缓慢的从一口注入井向一口或多口生产井方向运动。

    In-Situ Combustion ( ISC ) is basically a burning front that slowly moves from an injection well to one or more production wells .

  4. ~(113)Sn-~(113m)In发生器用于油田生产井产液流量测定的开发研究

    Application of ~ ( 113 ) sn - ~ ( 113m ) in generator to logging of total liquid production of oil wells

  5. 本文介绍油田测井用锡-铟(~(113)Sn-~(113m)In)发生器装置的实验室考查研究及其在油田生产井产液剖面测量中的应用。

    This paper describes a device of ~ ( 113 ) Sn - ~ ( 113m ) In application to logging of total liquid production profiles .

  6. 气-汽段塞驱是通过气-汽发生器装置,向生产井组的中心注入井注入温度250~300℃的烟道气和水蒸汽混合物的工艺技术,其主要成分为N2、CO2和水蒸汽。

    Gas steam slug drive uses gas steam generator to inject a mixture of flue gas and steam of 250 ~ 300 ℃, with N 2 , CO 2 and steam as major components , into the central injection well of a well block .

  7. 为了在蒸汽驱过程中保持较低的油藏压力(1~5MPa),生产井必须排空,必要时可增力。

    In order to keep lower reservoir pressure ( 1 ~ 5MPa ) during steam drive , the production well must be clearly discharged .

  8. 生产井排液速度30t/d;最小井底流压2.0MPa。

    Unloading speed in production wells is 30 t / d , the minimum bottomhole flow pressure is 20 MPa .

  9. 该文采用井间示踪剂测试解释ITTA软件,利用最优化方法对E31油藏生产井产出的示踪剂浓度剖面进行分析,计算了注入水波及的高渗透层位的渗透率和厚度。

    By using ITTA interwell tracer testing and interpretation software and optimization method , this paper analyzed the produced tracer profile and calculated the permeability and the thickness of high permeability layer in E 3 1 reservoir .

  10. 油气田生产井全过程钻井监测系统

    A total drilling monitoring system for oil and gas production well

  11. 抽油机是石油开采的主要设备,原油生产井使用抽油机将蕴藏在地下的石油通过抽油管抽出。

    Oil-Pumping unit is the necessary equipment in oil exploitation .

  12. 地震预测滤波方法在生产井产量预报中的应用

    Application of seismic prediction filter method on predicting the productivity

  13. 测量生产井高含水率的一种新方法&全空间测量法

    A New Method to Measure High Watercut in Production Well

  14. 秦皇岛32-6油田具有6座井口平台,共有163口生产井和注水井。

    There are163 wells located at the6 wellhead platforms in QHD32-6 oilfield .

  15. 蛇曲井生产井段压降预测方法

    Prediction method of the pressure fall in producing well section of snaky well

  16. 用连续流量计确定两相生产井视流体速度的方法

    Determination of Apparent Velocity of Flow in Bi-phase Producing Wells with Continuous Flowmeter

  17. 生产井站多参数地面测试技术研究与应用

    Research and application of multi-parameter ground testing technology in production well and station

  18. 电潜泵生产井压力监测的新方法

    A New Pressure Monitoring Approach for Production Wells Equipped with Electric Submersible Pumps

  19. 油井转气井开采的探索及井下油嘴的应用浅谈岩溶缝洞型碳酸盐岩油藏见水生产井压锥与提液

    Investigation of oil well to gas well production and application of downhole choke

  20. 有界地层长时生产井的短期压力恢复数据处理分析方法

    A method of analysing short buildup data after longtime production in finite reservoir

  21. 水驱砂岩油藏生产井出口端含水饱和度的确定方法

    Determination of Exit-End Formation Water Saturation of Oil Well in Water Drive Sandstone Reservoir

  22. 在一些凝析气藏中,凝析堵塞能显著的降低生产井的供应能力。

    In some kinds of condensate reservoirs , condensate blockage can reduce well deliverability significantly .

  23. 基于现场总线的生产井录井仪及其专家系统

    A Logging Instrument and Expert System Used in the Production Well Based on Field Bus

  24. 采用正交设计确定了影响因素的组合与计算方案的数目,研究结果表明,水平井布在靠近直升生产井而远离直升注水井时,开采剩余油的效果最好。

    Combination of factor and the number of calculation plans were determined with orthogonal design .

• What comes next are records of molecules, not part of the entry:
/*
[1]
C6H5NO4 in the gas phase, computed with ωB97M-V/def2-TZVPD.

The energy above the lowest of the compared OMol25 structures with the same formula, charge and spin comes out at 3.085 eV. As for the LUMO energy: -0.0414 Eh. The spin multiplicity is 1. The HOMO-LUMO gap is 7.698 eV. As for the SMILES: O=[N+]([O-])c1cccc(O)c1O.

Positions of all 16 atoms, in Å:
C 0.718 -0.879 0.872
C 1.346 -1.500 -0.242
C 0.788 -1.040 -1.493
C -0.174 -0.116 -1.619
C -0.463 0.670 -0.444
C -0.106 0.222 0.869
H 0.622 -0.960 2.886
H 1.937 -2.312 0.021
H 1.126 -1.474 -2.412
H -0.681 0.002 -2.591
H -1.212 1.564 1.784
N -1.290 1.829 -0.530
O 1.097 -1.378 2.056
O -0.547 0.775 1.953
O -1.573 2.472 0.558
O -1.589 2.125 -1.666

Cartesian forces (eV/Å) of the 3 atoms listed first:
2.317 -1.759 0.112
-4.331 3.977 0.062
2.076 -2.436 0.581

***

[2]
C6H5NO4 in the gas phase, computed with ωB97M-V/def2-TZVPD.

The energy above the lowest of the compared OMol25 structures with the same formula, charge and spin comes out at 3.867 eV. As for the LUMO energy: -0.0284 Eh. The spin multiplicity is 1. The HOMO-LUMO gap is 8.408 eV. As for the SMILES: O=[N+]([O-])[C@]12C=CC=C[C@@]1(O)O2.

Positions of all 16 atoms, in Å:
C 0.710 1.151 0.428
C 1.217 -0.120 0.162
C -0.642 1.425 0.361
C 0.434 -1.217 -0.155
C -1.585 0.411 0.483
C -0.909 -1.323 0.198
N -2.906 0.532 -0.037
O -3.214 1.569 -0.587
O -3.632 -0.447 0.074
O -1.386 -0.681 1.307
O -1.704 -2.209 -0.384
H 1.398 1.978 0.499
H 2.283 -0.210 0.011
H -1.002 2.414 0.117
H 0.835 -2.022 -0.748
H -2.614 -2.115 -0.026

Cartesian forces (eV/Å) of the 3 atoms listed first:
-0.118 0.089 0.258
-0.188 -0.182 -0.027
-0.382 -0.066 0.114

***

[3]
C6H5NS5 in the gas phase, computed with ωB97M-V/def2-TZVPD.

The energy above the lowest of the compared OMol25 structures with the same formula, charge and spin comes out at 0.761 eV. As for the LUMO energy: -0.0223 Eh. The spin multiplicity is 1. The HOMO-LUMO gap is 7.694 eV. As for the SMILES: Nc1cccc2c1SSSSS2.

Positions of all 17 atoms, in Å:
C -0.924 0.781 -0.091
C -1.843 -0.107 0.468
C -1.599 -1.420 0.697
C -0.279 -1.840 0.367
C 0.582 -1.059 -0.395
C 0.269 0.271 -0.645
H -0.688 2.541 -1.176
H -2.186 2.304 -0.418
H -2.794 0.340 0.700
H -2.187 -2.187 1.251
H 0.140 -2.797 0.595
N -1.231 2.111 -0.338
*/
• The records of molecules stop here:

  25. 用该测井仪对不同地区的标准井和生产井进行了测试。

    The proposed tool was tested in production wells and test wells of various areas .

  26. 确定低渗透油藏生产井平均地层压力的简便方法

    A simple method for determining average reservoir pressure in producing wells for low permeable reservoirs

  27. 在固定平台上安装钻机钻生产井,需建造大的固定平台,工程费用高;

    A rig drilling well on a fixed platform requires a large platform with great expense ;

  28. 其中对生产井平均地层压力研究时考虑了不同含水级别的不同。

    In the study of the average pressure , I considered the different water cut levels .

  29. 历史拟合是运用已有生产井的动态资料校正模拟模型的逆过程。

    History matching is the process of calibrating a simulation model to past performance of wells .

  30. 为该地区生产井的合理配置提供了依据。

    This provides a basis for the rational disposition of the pumping wells in this area .